Tuesday, July 24, 2012


So went camping a couple nights ago. We went to this lake that is opened 24 hours.

Okay, not really supposed to camp there, but yeah.

Anyway, around 1:30 AM, two couples come up and being making love in the water. So it's me, my boyfriend, and our friend Khini.

So we're sitting there waiting on them to either finish or realize that there are three other people at lake. Finally around 2 they leave. Well we walk up to the bathroom, because there's no light so I had my boyfriend hold the flashlight. As we walk back, there's a voice that said "help, get out".

Okay, if you guys know any guys you will realize that they don't listen to anything that well. They insisted we stay. So we stayed.

Around 2:30 AM Khini goes "what the f***" and jumps back about 10 feet then throws a rock. Me and my boyfriend look right as a figure of a man disappears. Well Khini starts chasing it around, it keeps disappearing. It was weird.

Skylar even gets up at one point and chases it to see if he can see what it is. Around 3:30 AM it begins throwing rocks at us. We were all like "what is going on" and Khini comes back at around 3:45 and has three perfectly straight scratches on his leg. We walk up to the bathroom and clean it with some hand sanitizer since that is all we really have.

[What comes next are records of crystals, not part of the page]
+++
#w
Crystalline RbSi3Br at its relaxed geometry, computed with PBE.

Calculated values
M_tot ... 0.00 μB per atom

a b c (Å): 5.270 5.270 5.270
angles (deg): 90.00 90.00 90.00
Positions (direct):
Si 0.000 0.500 0.000
Si 0.000 0.000 0.500
Si 0.500 0.000 0.000
Br 0.000 0.000 0.000
Rb 0.500 0.500 0.500

---

#x
Crystalline RbSi3Br at its relaxed geometry, computed with PBE.

Calculated values
M_tot ... 0.80 μB per atom

a b c (Å): 6.058 6.058 6.058
angles (deg): 90.00 90.00 90.00
Last column: magnetic moment on the atom in μB.
Positions (direct):
Si 0.000 0.500 0.000  0.39
Si 0.000 0.000 0.500  0.26
Si 0.500 0.000 0.000  0.40
Br 0.500 0.500 0.500  0.21
Rb 0.000 0.000 0.000  0.13

---

Energetically preferred structure: #w | next structure: +98.4 kJ/mol of atoms

---

#w
Crystalline RbSn2Br2 at its relaxed geometry, computed with PBE.

Calculated values
M_tot ... 0.00 μB per atom

a b c (Å): 6.153 6.153 6.630
angles (deg): 62.35 62.35 90.00
Positions (direct):
Br 0.750 0.250 0.500
Br 0.250 0.750 0.500
Sn 0.351 0.351 0.299
Sn 0.649 0.649 0.701
Rb 0.000 0.000 0.000

---
+++

So finally everything calms down around 5 and around 5:30 the sun starts to come up. We couldn't sleep at all out there, so we just left and dropped him off then came home.

And I wanna go back :)

Sunday, July 8, 2012

This is just a test message to see if blogger mobile is working :)
blessed be all

Friday, July 6, 2012

And this is what happens

Ok, I don't normally get upset with other people. I have a controlled temper and I can keep calm most of the time. But sometimes, people just make me so upset that I want to kill them. (Ok, I won't kill anyone, but still).

I know someone who will say many different things. From "I need to do this" to "They did this to me", whether it's true or not.

The reason I am saying this is because of the person I am talking about. I went and took my driving test today. I came back and was telling my friend, she's 22, that the place I went to is super nice and not difficult. They never take you over 25 mph and she begins to complain that 25 is too slow to go and she can't take her test at the place because she does not like it.

Ok, understandable. But then she says "The people there are really rude" and I knew this was not true. A woman comes in who has been working for the DPS (Department of Public Safety) for 15 years. She has been to nearly every DPS in the state and I asked her what she thought of her job. She said she liked it and that it was a lot of fun. She had worked with other stuff but decided that she was a "people person".

I told her about my previous experience at a DPS. I explained that the people were very rude and I told her which one it was. She says "Yep, those people up there are very rude and they don't care about their job at all. This is the best one I've worked at."

I know that this is just opinion, but this person is known for making things up because she doesn't want to do something. She will drive around without her license and not worry about it even though we have told her that it will end up with a very large fine and the car will be impounded. Now that I have my license, she has already said "Yay, you can take me places". I have had to make up stuff so I won't have to go anywhere, just because she uses people.

Her husband does not even care that all this stuff can happen. She has him literally by a leash and he will obey her every command no matter what it is. He's a good guy, but he won't listen to anybody about anything unless  it is her.

Ok, well anyway, that's all everyone. I'm done ranting about this.

Blessed Be

Monday, July 2, 2012

Well now...

I haven't really said much in a while, mainly cuz I've been very busy.
I've had:
A job (at McDonalds, I quit after one day)
And doing other stuff.

• Between two parts of the page: data records:
No. 1
PBE-GGA BaTcN2, relaxed; offset from the most stable computed form = 0.0 kJ per mole of atoms; uncorrected formation energy = -0.27 eV/atom; total energy = -7.50 eV/atom
1.0
4.666 -4.530 0.000
4.666 4.530 0.000
-0.704 0.000 5.057
Ba Tc N
2 2 4
Cartesian
2.333 2.265 0.000 Ba
1.981 -2.265 2.529 Ba
4.138 4.480 3.793 Tc
4.490 -4.480 1.264 Tc
3.289 3.494 2.352 N
5.690 3.494 0.177 N
2.937 -3.494 4.880 N
5.338 -3.494 2.706 N



No. 2
PBE-GGA BaTc3N, relaxed; offset from the most stable computed form = 310.3 kJ per mole of atoms; uncorrected formation energy = 4.04 eV/atom; total energy = -4.23 eV/atom
1.0
5.324 0.000 0.000
0.000 5.324 0.000
0.000 0.000 5.324
Ba Tc N
1 3 1
Cartesian
0.000 0.000 0.000 Ba
0.000 0.000 2.662 Tc
0.000 2.662 0.000 Tc
2.662 0.000 0.000 Tc
2.662 2.662 2.662 N



No. 3
PBE-GGA Ba2Tc2N, relaxed; offset from the most stable computed form = 0.0 kJ per mole of atoms; uncorrected formation energy = 0.88 eV/atom; total energy = -5.70 eV/atom
1.0
-3.145 3.145 3.332
3.145 -3.145 3.332
3.145 3.145 -3.332
Ba Tc N
2 2 1
Cartesian
3.145 0.000 1.666 Ba
0.000 3.145 1.666 Ba
0.000 0.000 1.486 Tc
0.000 0.000 5.179 Tc
0.000 0.000 3.332 N



No. 4
PBE-GGA BaTc2N2, relaxed; offset from the most stable computed form = 0.0 kJ per mole of atoms; uncorrected formation energy = 0.46 eV/atom; total energy = -7.40 eV/atom
1.0
-2.089 2.089 4.136
2.089 -2.089 4.136
2.089 2.089 -4.136
Ba Tc N
1 2 2
Cartesian
0.000 0.000 0.000 Ba
0.000 0.000 2.972 Tc
0.000 0.000 5.299 Tc
2.089 0.000 2.068 N
0.000 2.089 2.068 N



No. 5
PBE-GGA BaTc3N, relaxed; offset from the most stable computed form = 0.0 kJ per mole of atoms; uncorrected formation energy = 0.82 eV/atom; total energy = -7.45 eV/atom
1.0
4.339 0.000 0.000
0.000 4.339 0.000
0.000 0.000 4.339
Ba Tc N
1 3 1
Cartesian
0.000 0.000 0.000 Ba
0.000 2.169 2.169 Tc
2.169 0.000 2.169 Tc
2.169 2.169 0.000 Tc
2.169 2.169 2.169 N



No. 6
PBE-GGA Ba2TcN, relaxed; uncorrected formation energy = -0.11 eV/atom; total energy = -5.74 eV/atom
1.0
-5.662 5.662 1.949
5.662 -5.662 1.949
5.662 5.662 -1.949
Ba Tc N
4 2 2
Cartesian
-0.546 2.831 0.487 Ba
2.831 5.117 1.462 Ba
0.546 8.494 0.487 Ba
-2.831 6.208 1.462 Ba
5.662 0.000 0.975 Tc
0.000 0.000 1.949 Tc
0.000 0.000 0.000 N
0.000 5.662 0.975 N


# 1
Density functional theory data (GGA-PBE) for a relaxed structure of KPS2.

Values from the calculation:
**E_form (uncorrected)**: -0.39 eV per formula unit
**Magnetization**: 0.000 Bohr magnetons per cell

a b c (Å): 3.6561 3.6561 25.3173
angles (deg): 90.00 90.00 120.00
Space group R-3m (No. 166, hexagonal axes)
Unique sites:
K1 0.0000 0.0000 0.0000 [3 per cell]
P1 0.0000 0.0000 0.5000 [3 per cell]
S1 0.0000 0.0000 0.1143 [6 per cell]

=====

# 2
Density functional theory data (GGA-PBE) for a relaxed structure of K5P2S12.

Values from the calculation:
**E_form (uncorrected)**: -10.51 eV per formula unit
**Magnetization**: 0.000 Bohr magnetons per cell

a b c (Å): 8.0168 8.6026 9.8973
angles (deg): 67.05 68.01 66.35

So here's what I have now.

Ever seen people that are "Christian" and then are the biggest hypocrites ever?? I'm sure you have.
Well, what if these people would actually be true to themselves? What would you have??

I'm just asking because I've met many people that will say they are true blood Christian, but then do everything the Bible teaches against.

Now then, don't assume that I'm dissing Christianity, because I'm not. It is a very respected religion that has been around for a thousand or so years, but people abuse it.

_What comes next are materials data, not part of the page_
Entry 1:
# YGe3Pb

A geometry-optimized YGe3Pb structure (PBE, Alexandria).

CIF file:
```
data_YGe3Pb
_chemical_formula_sum 'Y1 Ge3 Pb1'
_cell_length_a 5.328
_cell_length_b 5.328
_cell_length_c 5.328
_cell_angle_alpha 90.00
_cell_angle_beta 90.00
_cell_angle_gamma 90.00
_symmetry_space_group_name_H-M 'P m -3 m'
_symmetry_Int_Tables_number 221
_symmetry_space_group_name_Hall '-P 4 2 3'
loop_
_atom_site_label
_atom_site_type_symbol
_atom_site_fract_x
_atom_site_fract_y
_atom_site_fract_z
Y1 Y 0.000 0.000 0.000
Ge1 Ge 0.000 0.500 0.500
Pb1 Pb 0.500 0.500 0.500
```

E: -4.061 eV per atom
Relative energy among the computed polymorphs: 212 meV/atom
Energy of formation: 744 meV/atom

---

Entry 2:
# AgOs3

A geometry-optimized AgOs3 structure (PBE, Alexandria).

CIF file:
```
data_AgOs3
_chemical_formula_sum 'Ag3 Os9'
_cell_length_a 2.7490
_cell_length_b 2.7490
_cell_length_c 27.6857
_cell_angle_alpha 90.00
_cell_angle_beta 90.00
_cell_angle_gamma 120.00
_symmetry_space_group_name_H-M 'R -3 m'
_symmetry_Int_Tables_number 166
_symmetry_space_group_name_Hall '-R 3 2"'
loop_
_atom_site_label
_atom_site_type_symbol
_atom_site_fract_x
_atom_site_fract_y
_atom_site_fract_z
Ag1 Ag 0.0000 0.0000 0.0000
Os1 Os 0.0000 0.0000 0.2443
Os2 Os 0.0000 0.0000 0.5000
```

E: -8.790 eV per atom
Relative energy among the computed polymorphs: 74 meV/atom
Energy of formation: 345 meV/atom

---

Entry 3:
# LiMg2Au

A geometry-optimized LiMg2Au structure (PBE, Alexandria).

CIF file:
```
data_LiMg2Au
_chemical_formula_sum 'Li3 Mg6 Au3'
_cell_length_a 3.1517
_cell_length_b 3.1517
_cell_length_c 28.1379
_cell_angle_alpha 90.00
_cell_angle_beta 90.00
_cell_angle_gamma 120.00
_symmetry_space_group_name_H-M 'R 3 m'
_symmetry_Int_Tables_number 160
_symmetry_space_group_name_Hall 'R 3 -2"'
loop_
_atom_site_label
_atom_site_type_symbol
_atom_site_fract_x
_atom_site_fract_y
_atom_site_fract_z
Li1 Li 0.0000 0.0000 0.0000
Mg1 Mg 0.0000 0.0000 0.5208
Mg2 Mg 0.0000 0.0000 0.7561
Au1 Au 0.0000 0.0000 0.2622
```

E: -2.275 eV per atom
Energy of formation: -180 meV/atom

---

Entry 4:
# SrNiPt2

A geometry-optimized SrNiPt2 structure (PBE, Alexandria).

CIF file:
```
data_SrNiPt2
_chemical_formula_sum 'Sr4 Ni4 Pt8'
_cell_length_a 4.895
_cell_length_b 4.895
_cell_length_c 16.598
_cell_angle_alpha 90.00
_cell_angle_beta 90.00
_cell_angle_gamma 90.00
_symmetry_space_group_name_H-M 'I -4 2 d'
_symmetry_Int_Tables_number 122
_symmetry_space_group_name_Hall 'I -4 2bw'
loop_
_atom_site_label
_atom_site_type_symbol
_atom_site_fract_x
_atom_site_fract_y
_atom_site_fract_z
Sr1 Sr 0.000 0.000 0.000
Ni1 Ni 0.000 0.000 0.500
Pt1 Pt 0.055 0.250 0.625
```

E: -5.134 eV per atom
Energy of formation: -247 meV/atom

---

Entry 5:
# Ac3La4Tb

A geometry-optimized Ac3La4Tb structure (PBE, Alexandria).

CIF file:
```
data_Ac3La4Tb
_chemical_formula_sum 'Ac6 La8 Tb2'
_cell_length_a 12.024
_cell_length_b 5.403
_cell_length_c 10.794
_cell_angle_alpha 90.00
_cell_angle_beta 116.70
_cell_angle_gamma 90.00

I've met people who claim to be Christian but will abuse their spouse, cheat on them, and do everything else. I find this is wrong. How can you claim to be a religion that you are not even following properly??

That's all,
Blessed Be